any RTS games with a higher degree of customization? I want something badass where you can select the unit roster for your faction. or something where you can mix & match the properties of different units creating something new. I know the game amazing creatures or whats it called, but i dont like it
warzone 2100
>>1951662Impossible Creatures
>>1951662>I know the game amazing creatures or whats it called, but i dont like itIt's Impossible Creatures. But yeah for how much everyone loves to jerk off over its creature combining gimmick, you'd think more people would remember that the actual game is complete ass.
>>1951662>select the unit rosterThis is more of a thing in tactics games. What you usually get in RTS is branching tech paths, like the different minor gods in Age of Mythology that give you different myth units. However, CoH had some units you could swap, like the Cromwell for the Kangaroo. Magic & Mayhem had you swap out alchemical ingredients to get different units. I think Tooth and Tail had you pick units for each tier in multiplayer.>mix & match the properties of different units creating something newHybridization is a really rare mechanic reserved for occasional gimmick units like the IFV in Red Alert 2 or the ghetto gunships in SupCom.
>>1951662Warhammer: Mark of Chaos. No basebuilding but you get to pick the units in your army and there's an army painter mode where you can fully customize every unit
Am new to the RTS/ GST genre, but I am very interested by the prospect of becoming autistic. What games would you recommend starting off with in the Genre?
>>1950872The game is split into server regions, the Koreans have their own server. On top of that, the community is so large that there are still many, many noobs to face in the skill-based matchmaking.
Play Rise of Legends buddy boy . There's romance and steampunk italians and sexy desert lady and there is soul in that game
>>1950870If 1 is about leading armies then 2 is about leading squads, practically different genres with utterly different appealsI heard that it's good tho
>MultiplayerStarcraft 2Age of Empires 2Warcraft 3>SingleplayerWarcraft 3Starcraft 1 & 2Dawn of War 1 & 2HomeworldAge of Empires 2Age of MythologyCommand and Conquer (Any other than 4)Company of Heroes (Any)World in Conflict
>>1951663Will be checking all of these out. thanks anon>>1950928sounds like an interesting change>>1950899downloaded this, i remember seeing a video about it a while back and thinking it looked fun
What are all the features you wish hoi4 had?
>>1946273Drafted populations dying when they're killed in combat and this affecting state populations.It triggers my autism that these places aren't hit but millions of losses.Also, getting back the reserves system from HOI3 would be neat I liked that one.
>>1946273An economy.
>>1946273Paradox should stop being pussies and implement forced labor and ethnic cleansing to my WWII sim game >B-but the wrong kinds of people might buy the game!!!Fascists and Commies already flock to these games like flies on shit. Just stop being fags and give us the full experience
>>1946273A relatively competent AI.
What happened with the latest Protectors update? Is it so bad that the thread had to die here as well?
>>1949852I occasionally go look at the discord, you can just come in and plop down your observations in the apposite bug report section (named "bug-hive_092").
>>1950162I think I will because its a real problem that should be mentioned. For all the changes and balance suggestions that get made im surprised nobody has conplained about it enough for them to do something about it.
>>1950212I think people used to complain about ai merc spam quite a few times. Has to be some kind of integral part of the mod teams vision or something given that it's still in.
>>1948594I like alot of what that sub-mod does, the minor factions to The Protectors add alot of flavor and the skill trees are cool but stuff like the upkeep was always annoying and I am glad this mod removes it. I just wish I could have more Hero race combinations, like Bard on Knights or Empire. Does anyone know if its possible to edit the files to allow for more Hero/Race class combinations?
>>1951043Probably not. But if you are good enough at programming you might be able to ask the author for the source files because I think that's the only way you can edit it.>>1950848It wouldn't be so bad if they either put the ability to hire merc later in the tech tree for certain factions, priced the mercs more in line with the amount of units you get meaning making the prices much higher, removing dragons from the roster of mercs because that is just pure cancer trying to stop a fucking dragon in the first 3 minutes of the game with a hero who isn't level 50+. I don't get it either, but I get the feeling that it's because the game is being balanced around very high level heroes that people only have because of trainers and XP farming maps.
How to marry doll waifu
>>1948065I know. It doesn't help.
>>1948037Compared to GFL1 this one is more simple and easy to farm stuff
>wanna play fun strategy games with cute anime girls>it's all gachafuck my life
>>1952972I never understood this complaint. You can just try it for free and leave if you don't like it. The games are designed to be played by free players and funded by the 5% of paying players.
>>1952980i played a few and every single one had barebones grindy gameplay that, along with literally everything else, steered you towards buying shit to skip the grindso yeah, no. i'd raither cry about not being able to play with cute anime girls than spend a single minute enabling this behaviour
**Materials data, kept here for reference**
/*
Calculated powder X-ray diffraction pattern of HoCr6Ge6 for Cu Kα, from a cell relaxed with GGA-PBE.

Main lines, in order of rising 2θ (15° ≤ 2θ ≤ 90°):
- 35.14 deg, intensity 76.9
- 38.32 deg, intensity 44.9
- 40.80 deg, intensity 45.7
- 41.50 deg, intensity 100.0
- 46.51 deg, intensity 33.8
- 48.44 deg, intensity 32.6

Cell and atoms:
```
HoCr6Ge6
1.0
5.1078 0.0000 0.0000
-2.5539 4.4235 0.0000
0.0000 0.0000 8.3147
Ho Cr Ge
1 6 6
Direct
0.0000 0.0000 0.0000
0.0000 0.5000 0.2503
0.0000 0.5000 0.7497
0.5000 0.0000 0.2503
0.5000 0.0000 0.7497
0.5000 0.5000 0.2503
0.5000 0.5000 0.7497
0.0000 0.0000 0.3456
0.0000 0.0000 0.6544
0.3333 0.6667 0.0000
0.3333 0.6667 0.5000
0.6667 0.3333 0.0000
0.6667 0.3333 0.5000
```

Calculated powder X-ray diffraction pattern of Sr3BN3 for Cu Kα, from a cell relaxed with GGA-PBE.

Main lines, in order of rising 2θ (15° ≤ 2θ ≤ 90°):
- 24.10 deg, intensity 31.6
- 29.56 deg, intensity 100.0
- 32.77 deg, intensity 23.8
- 34.10 deg, intensity 35.7
- 37.18 deg, intensity 44.1
- 51.34 deg, intensity 32.8

Cell and atoms:
```
Sr3BN3
1.0
7.3870 0.0000 0.0000
-3.6935 6.3973 0.0000
0.0000 0.0000 5.2582
Sr B N
6 2 6
Direct
0.0704 0.3702 0.2500
0.2997 0.9296 0.2500
0.3702 0.2997 0.7500
0.6298 0.7003 0.2500
0.7003 0.0704 0.7500
0.9296 0.6298 0.7500
0.3333 0.6667 0.7500
0.6667 0.3333 0.2500
0.1381 0.4475 0.7500
0.3094 0.8619 0.7500
0.4475 0.3094 0.2500
0.5525 0.6906 0.7500
0.6906 0.1381 0.2500
0.8619 0.5525 0.2500
```

Calculated powder X-ray diffraction pattern of YU2S3O2 for Cu Kα, from a cell relaxed with GGA-PBE.

Main lines, in order of rising 2θ (15° ≤ 2θ ≤ 90°):
- 25.17 deg, intensity 29.0
- 26.55 deg, intensity 100.0
- 31.53 deg, intensity 57.6
- 33.22 deg, intensity 58.6
- 42.13 deg, intensity 39.6
- 55.42 deg, intensity 28.6

Cell and atoms:
```
YU2S3O2
1.0
-1.9067 1.9067 10.6151
1.9067 -1.9067 10.6151
1.9067 1.9067 -10.6151
Y U S O
1 2 3 2
Direct
0.0000 0.0000 0.0000
0.3130 0.3130 0.0000
0.6869 0.6869 0.0000
0.1288 0.1288 0.0000
0.5000 0.5000 0.0000
0.8712 0.8712 0.0000
0.2500 0.7500 0.5000
0.7500 0.2500 0.5000
```

=====

# PtO2F6
Calculated powder diffractogram, CuKα. Input: a GGA-PBE-relaxed structure.
No peak broadening, texture or thermal motion is included.

Largest 6 diffraction maxima, in order of falling intensity, 10 to 90 degrees two-theta:
23.81 deg, d = 3.737 Å, I 100, hkl 2 2 0
16.77 deg, d = 5.285 Å, I 87, hkl 2 0 0
41.87 deg, d = 2.158 Å, I 39, hkl 4 2 2
38.07 deg, d = 2.364 Å, I 25, hkl 4 0 2
51.90 deg, d = 1.762 Å, I 22, hkl 4 4 2
66.15 deg, d = 1.413 Å, I 20, hkl 6 2 4

Cell and atoms:
Cell: 10.5706 10.5706 10.5706 Å, 90.00 90.00 90.00°
Space group Ia-3 (No. 206)
Symmetry-distinct sites (fractional):
Pt: 0.2500 0.2500 0.2500 (multiplicity 8)
O: 0.0325 0.0325 0.0325 (multiplicity 16)
F: 0.1062 0.1557 0.3055 (multiplicity 48)
*/
>don't make a new thread>lol it's on page 10 but don't make new thread newfag it still has a long way to go>what are you STUPID we don't make new threads until it's too latefine here you go. anbennar thread. for gay EU4 fantasy bullshit
>>1954545what if I start at the edge of the continent and can't feasibly participate in the revolt
>>1954996Esthil>isn't magic-alignedWell shit I don't know.
>started Rogieria game>converted to half-elf nation because that seemed based>get option to convert to half-orc nation, go with it because the thought of invading the Empire and purging humans and replacing them with half-orcs sit well with me>25 years later my country forces me to adopt "Rogierian" (human) as my primary culture. Half-orc is gone completelyWHAT THE FUCK
>>1954996>rapedthose women lost duels>killedthose were duelsremember that orcs NEVER kill civilians just ignore all those empty holds in the serpentspine or the lack of human minorities in Escann
>>1955166Big human cock wins
which is better, and more importantly, which has more SOVL?
>>1951313that's that 20% of them actually doing new things and not really since that tiger model was also ported from mowas1
>>1951320>>1951403Careful, don't hurt yourselves.
>>1951460Nah I‘m fine mate
>>1950349Men of War is better strategy, CoH is just click fest shit for retards
>>1950349>Do you like apples or oranges more?Those games are completely different things, why the fuck would you put them side by side?
anyone still remembers this game? what are some other obscure strategy games that you were grinding back in the days?
>>1951783>We have to be 3 steps ahead of everyone else at all times or we'll get genocided again.fucking take the hint then.
>>1948723Why else would people spend so much money on that kind of """art"""?
>>1951572>I ethnically am PolishWhat the fuck that's even supposed to mean? You're American, plain and simple. You speak Polish? Went through Polish education system, so it gets drilled into your head to masturbate to misery? No? Then you have jack shit to do with Poland, periodBe glad
>>1952588To spite youYou would know, if you were a real, red-blooded Pole. Everything is a result of spite, personally aimed at (You)
>>1952765As in that's where most of my family is from. The rest are Ukrainian.
Since a new game is out of the question, what do you think of AWBW?
>>1912479I may have been that kid.
>be me>after reorganizing the tournaments (basically cutting the number of players per division in half) relegated to the babby division>"oh, well, in this case I swipe the floor with those noobies">lose in STD within 2 rounds>lose in FOG within 2 rounds>STD guy procedes to the finals>FOG guy procedes to the finals>STD guy faces FOG guy in STD finalslol, I fucking swear it's always me facing those 1050 elo guys with a record of 12-1 who could easily be 1300-1400 if they started playing regularily
>>1936511I only see Warside being sue-able. The design is too similar and could be calles copycat. The other two are too different.
What comes next are records of crystals, not part of the text
=====
Structure and theoretical X-ray diffraction stick pattern of Zn4Cd8Sn (a GGA-PBE-relaxed structure; Cu Kα (λ = 1.5418 Å)).

Peak list (6 most intense, 10 to 80 degrees two-theta, sorted by position)
d (Å)  I (rel.)
2.875  32
2.826  48
2.476  46
2.444  100
2.434  55
2.207  64

Cell and atoms:
```
13
Lattice="-4.869 4.869 2.875 4.869 -4.869 2.875 4.869 4.869 -2.875" Properties=species:S:1:pos:R:3 pbc="T T T"
Zn 2.434 2.434 -1.437
Zn 2.434 -2.434 1.437
Zn -2.434 2.434 1.437
Zn 2.434 2.434 1.437
Cd 2.137 0.000 0.000
Cd 7.600 0.000 0.000
Cd 4.869 1.551 0.000
Cd 0.000 2.137 0.000
Cd 1.551 4.869 0.000
Cd 3.318 0.000 2.875
Cd 0.000 7.600 0.000
Cd 0.000 3.318 2.875
Sn 0.000 0.000 2.875
```

~~~~~

Theoretical powder X-ray diffraction pattern of EuHfZrSnO6 for CuKα, from a PBE-relaxed structure.
Peak positions follow from Bragg's law for the DFT cell and can differ from measured ones.

Structure:
Cell lengths 5.9206, 5.9206, 5.9206 Å; angles 60.00, 60.00, 60.00 degrees
Fractional positions:
Eu 0.0000 0.0000 0.0000
Hf 0.2500 0.2500 0.2500
Zr 0.7500 0.7500 0.7500
Sn 0.5000 0.5000 0.5000
O 0.0018 0.0018 0.4982
O 0.0018 0.4982 0.0018
O 0.0018 0.4982 0.4982
O 0.4982 0.0018 0.0018
O 0.4982 0.0018 0.4982
O 0.4982 0.4982 0.0018

The 10 most intense peaks (2θ from 15° to 90°), sorted by position:
d [Å]	Position (°2θ)	I_rel
4.834	18.35	6
2.960	30.19	100
2.525	35.56	4
2.093	43.22	30
1.921	47.32	2
1.709	53.62	41
1.480	62.78	19
1.324	71.23	18
1.209	79.27	6
1.119	87.10	22
=====
>>1952655cute panther
MEDIEVAL 3: TOTAL WAR:Timeframe: 1066 - 1700Thoughts on that timeframe?You start with early middle ages stuff, move over to high and then renaissance era early gunpowder pike and shot stuff, then we get to the end of it all and the pike and shot stuff just transitions into ETW's early period roster. Sounds good or should it be earlier?
>>1942939The peak of the Reconquista as an actual struggle was done in the High Middle Ages, specially the 11th century when El Cid lived. After the battle of Las Navas de Tolosa in 1212 Christian victory became assured. For the following two centuries Muslim powers in Iberia existed mostly as vassals to Castile which had no hope of ever taking back ground.So really the early 13th century is the end of the Reconquista as an actual struggle.>>1942977>1066>the end of viking BritainThat would be 1042 with the death of Harthacnut. Hardrada's invasion was crushed almost immediately and nobody would remember if it disnt precede the Norman invasion.Also nevermind that these vikings were all Christians, so quite different from what people think when they hear "viking"Pagan viking England ended under the reign of Eardred, younger brother of Aethelstan.
>>1949299Long timelines force the devs to make one turn = one year or, dear god, several years.The most that is reasonable is one turn = one season and even that is exaggerated given the range of movement of armies.Otherwise you end up with rome 2's retardism of a boat trip from spain to Italy taking 10 years.
>>1951026Going forward I think CA is no longer going to do the broad +300 year spans of something like R2 or Medieval (1070 to at least 1453, possibly even to 1520 with kingdoms). Rather M2 would be split at a minimum into 1070-1200s (Reconquista/Crusades to Mongols), 1300s (Black Plague), with Mongols a candidate to get their own spot and no Pike and shot = some 1500 game (Even if in that case better to do pike and shot as an attila). My vote if not M3 is still for Pike and shot, starting around 1510-ish. There's big changes in the playables at this time but with the right date you are given an insanely sense campaign map situation (Colonial empires, Reformation style realm divide happening 20-40 turns in, Shia/Sunni war, Sengoku Jidai, Babur invading India, Kalmar union falling apart).Run it like WH1-2-3 like so, roughly speaking:>Total War: Shot 1Chock full of factions people wanna play>Total War: Shot 2A bit of a weaker candidate as European wise it's just Portugal and Spain (Moving date up for France and others means losing Aztecs or Inca). However Africa was not all bone-nose-mtumbu at this point. Can't really expand it to India unless you tilt the map such that you can get Central Asia in.>Total war: Shot 3Sengoku Jidai Japan (So basically a mini Shogun 2, although not during the more famous Nobunaga era), Ming blob, various literally-whos in SE-Asia but you can again have Spain and Portugal to anchor players who are a bit uneasy about it - same way Kislev and Cathay did for WH3. And you can have DLC that moves the date up to bring other Europeans in."Modern Empires" combined map = selling point of the first total war to include nearly the entire world.
Absurd timeframe, has to decide if it's medieval or early modern. A pure medieval game should be roughly 1000-1500. Once the new world gets discovered it makes no sense to be the same game because they're not going to add other continents for colonization with a game starting in 1066. Maybe a medieval one with a 30 years war dlc focused on west/central europe
>>1942424>MEDIEVAL>1700>Thoughts American education sure is shit
Talk about new mods, mods you're hyped for, etc.CTS:
>>1950849>Am I supposed to hate this?i never said unhinged is a bad thing
>>1951395My bad for incorrectly assuming, then.
>>1950820Gay nazis are kino, but I also love the idea of the POD, and how it could be expanded upon. I can totally envision future mods focusing on all these weirdo local races and how they gradually shift American politics, maybe eventually culminating in a mod focusing on a presidential election where you play as a surprisingly strong weirdo third party.
>>1948349At the very least he made two or three other mods in the interim.
I wonder if they're still making this
How come Broken Arrow is the only war game that decided to use a modern day setting, instead of a cold war gone hot scenario
>>1949211Not really, they also love to interfere and set all sorts of bullshit rules on how you can and cannot use their licenses which actively hinders development.
>>1944320Because if they tried doing cold war they would end up being a Wargame/WARNO clone that would fail just like all the other ones. Also, it's technically not modern anymore it's set in an alternative 2010s where Russia started going crazy with their military budget, many of the weapons in the game are no longer in use or obsolete. At this point, WARNO is the single cold war game of this kind that you should play, the others fall short.I think another reason why is exactly why Broken Arrow failed before it even launched, modern stuff is just not fun to play with in a video game.
>>1949157>All of this by 80s-90s western units/k/, please.Every other months zelinsky get a new wonderweapon delivered, that always make a wet fart as soon as it reach the frontline.
>>1952044zigger, pleaseevery other month vatniks keep devolving, their gear getting closer and closer to 19th century tech
>>1952386The noble donkey is a timeless classic.
living example of graphics over gameplay. it's a simplified banished with combat.>no ai lords>no castles>no breeding>stupid anno market mechanic>no random maps
>Game STILL doesn't even have knights at the bare minimum despite being shown all the way back in 2021Schizo anon, I kneel
>>1949288>Tries to call others on cope>"It's gonna be great in few years, you will see"TopFuckingKek
>>1947980I love this game, I don't see why this board has to hate on everything.Bought in on release and still playing, can't wait to see what they do with it. They just need upgrades for the manor, make trading between regions easier and a late game after you take all the regions like a big invasion by the French or Hungarians or something. Maybe even let you raid and battle other players
>>1950248>I don't really know how large scale food production is supposed to work; 8 farmers + 1 miller + 3 bakers can't seem to feed themselves2, 1.0 fields over 50 and up fertility will achieve this easily.It is really hard to make beer last. I think it's really important to colonize other regions, especially the fertile ones. I don't even build past 15 or so families until I conquer a fertile region.Multiple farmhouses help too.
>>1947980>with combat. sold
Full release is out now. What is the verdict?
>>1946114Battle Realms was awesome 20 years ago and still is. That said, I'm not gonna buy the same game twice unless they added new content.
>>1946376The devs have talked about considering a possibility of maybe doing a campaign for the Lotus clan if the Zen Edition is successful enough, but I don't think how likely it actually is.
Here the page breaks off for crystal structures
No. 1
Starting from DFT lattice parameters and positions (GGA-PBE), the XRD peak list of SbPC3Cl5O was calculated for Cu Kα (λ = 1.5418 Å).
Intensities are scaled so that the largest is 100.

Cell and atoms:
Unit cell a=15.5522 b=8.0590 c=10.0097 alpha=90.00 beta=90.00 gamma=90.00
Positions (direct):
Sb: 0.1522 0.2500 0.0974
Sb: 0.3478 0.7500 0.5974
Sb: 0.6522 0.2500 0.4026
Sb: 0.8478 0.7500 0.9026
P: 0.0696 0.2500 0.7643
P: 0.4304 0.7500 0.2643
P: 0.5696 0.2500 0.7357
P: 0.9304 0.7500 0.2357
C: 0.0249 0.2500 0.6085
C: 0.1195 0.1621 0.6139
C: 0.1195 0.3379 0.6139
C: 0.3805 0.6621 0.1139
C: 0.3805 0.8379 0.1139
C: 0.4751 0.7500 0.1085
C: 0.5249 0.2500 0.8915
C: 0.6195 0.1621 0.8861
C: 0.6195 0.3379 0.8861
C: 0.8805 0.6621 0.3861
C: 0.8805 0.8379 0.3861
C: 0.9751 0.7500 0.3915
Cl: 0.0190 0.2500 0.2145
Cl: 0.1434 0.5430 0.0752
Cl: 0.1434 0.9570 0.0752
Cl: 0.2426 0.2500 0.2833
Cl: 0.2437 0.7500 0.4212
Cl: 0.2563 0.2500 0.9212
Cl: 0.2574 0.7500 0.7833
Cl: 0.3566 0.0430 0.5752
Cl: 0.3566 0.4570 0.5752
Cl: 0.4810 0.7500 0.7145
Cl: 0.5190 0.2500 0.2855
Cl: 0.6434 0.5430 0.4248
Cl: 0.6434 0.9570 0.4248
Cl: 0.7426 0.2500 0.2167
Cl: 0.7437 0.7500 0.0788
Cl: 0.7563 0.2500 0.5788
Cl: 0.7574 0.7500 0.7167
Cl: 0.8566 0.0430 0.9248
Cl: 0.8566 0.4570 0.9248
Cl: 0.9810 0.7500 0.7855
O: 0.0547 0.2500 0.9122
O: 0.4453 0.7500 0.4122
O: 0.5547 0.2500 0.5878
O: 0.9453 0.7500 0.0878

The 10 most intense peaks (15° ≤ 2θ ≤ 90°), by angle:
2θ (°), I/Imax
15.2, 59
15.8, 100
18.6, 28
19.3, 39
22.1, 49
29.1, 31
33.9, 28
35.4, 23
37.2, 22
49.4, 24

***

No. 2
Starting from DFT lattice parameters and positions (GGA-PBE), the XRD peak list of BaCa2I6 was calculated for Cu Kα (λ = 1.5418 Å).
Intensities are scaled so that the largest is 100.

Cell and atoms:
Unit cell a=7.6947 b=7.6947 c=14.6954 alpha=90.00 beta=90.00 gamma=90.00
Positions (direct):
Ba: 0.0000 0.0000 0.0000
Ba: 0.5000 0.5000 0.5000
Ca: 0.0000 0.0000 0.3318
Ca: 0.0000 0.0000 0.6682
Ca: 0.5000 0.5000 0.1682
Ca: 0.5000 0.5000 0.8318
I: 0.1824 0.1824 0.5000
I: 0.2052 0.2052 0.1797
I: 0.2052 0.2052 0.8203
I: 0.2948 0.7052 0.3203
I: 0.2948 0.7052 0.6797
I: 0.3176 0.6824 0.0000
I: 0.6824 0.3176 0.0000
I: 0.7052 0.2948 0.3203
I: 0.7052 0.2948 0.6797
I: 0.7948 0.7948 0.1797
I: 0.7948 0.7948 0.8203
I: 0.8176 0.8176 0.5000

The 10 most intense peaks (15° ≤ 2θ ≤ 90°), by angle:
2θ (°), I/Imax
16.3, 28
23.1, 18
24.5, 100
25.9, 37
31.8, 38
32.9, 25
36.7, 16
39.7, 43
41.4, 16
48.8, 15


Theoretical powder diffraction line list
Compound: UNb3O10
Radiation: copper Kα
Structure: a GGA-PBE-relaxed structure
Kinematic intensities with the Lorentz-polarization factor, no thermal factor.

Largest 10 diffraction maxima, low angle first, 10 to 90 degrees two-theta:
| 2θ (°) | intensity | index |
| --- | --- | --- |
| 21.90 | 59 | 0 0 4 |
| 27.37 | 100 | 2 2 0 |
| 35.32 | 55 | 2 2 4 |
| 44.66 | 12 | 0 0 8 |
| 48.37 | 27 | 4 0 0 |
| 53.18 | 27 | 0 4 8 |
| 53.70 | 25 | 4 0 4 |
| 56.47 | 15 | 0 8 0 |
| 61.30 | 15 | 0 8 4 |
End of the crystal structures
is it just a remastered version of the old game?
>>1947142>remasteredNope.It's a community patch that integrates steam. I've seen people claim that GOG version is still better. Haven't compared myself though.
>>1946296you may actually be the first person in 20 years to think wc3 looks better than battlerealms>>1946532dev is notorious for promising the world and delivering nothing, don't hold your breath
I finally read the rules and apparently we're allowed to discuss MOBAs here. Do you also have any unsolicited opinions on Malzahar being a braindead autowin champion for over 10 years you'd like to share?
>>1951237Ashe is love, Ashe is win, Ashe is the mainstay of the game
>>1951237What's a MOBA?
>>1951260I'm not google.
>>1951237>Malzahar being a braindead autowin championthat's why he has a 100% ban rate in pro play!
Dota is better.